

## These calculated crystals were left in the text by mistake
=====
Entry from Alexandria via LeMat-Bulk: Ce4SbTe3 after structural relaxation (PBE-GGA).

## Properties
- DOS(E_F): 58.54 states/eV/cell
- Energy above the most stable polymorph in this dataset: 3 meV per atom

Unit cell a=9.038 b=12.738 c=4.476 alpha=90.00 beta=90.00 gamma=90.00
Fractional positions:
Ce1 0.000 0.248 0.000
Ce2 0.000 0.752 0.000
Ce3 0.247 0.000 0.500
Ce4 0.253 0.500 0.500
Ce5 0.500 0.252 0.000
Ce6 0.500 0.748 0.000
Ce7 0.747 0.500 0.500
Ce8 0.753 0.000 0.500
Sb1 0.000 0.000 0.000
Sb2 0.500 0.500 0.000
Te1 0.000 0.500 0.000
Te2 0.250 0.250 0.500
Te3 0.250 0.750 0.500
Te4 0.500 0.000 0.000
Te5 0.750 0.250 0.500
Te6 0.750 0.750 0.500

***

Entry from Alexandria via LeMat-Bulk: Ce4Sb2Te after structural relaxation (PBE-GGA).

## Properties
- DOS(E_F): 57.68 states/eV/cell
- Electronic total energy: -6.01 eV per atom

Unit cell a=8.151 b=8.151 c=8.151 alpha=109.51 beta=109.51 gamma=109.39
Fractional positions:
Ce1 0.125 0.227 0.749
Ce2 0.127 0.728 0.751
Ce3 0.272 0.023 0.399
Ce4 0.478 0.377 0.251
Ce5 0.623 0.875 0.101
Ce6 0.625 0.873 0.601
Ce7 0.773 0.522 0.899
Ce8 0.977 0.375 0.249
Sb1 0.250 0.625 0.125
Sb2 0.375 0.500 0.625
Sb3 0.500 0.125 0.875
Sb4 0.875 0.750 0.375
Te1 0.000 0.000 0.000
Te2 0.750 0.250 0.500

***

Entry from Alexandria via LeMat-Bulk: Ce2SbTe after structural relaxation (PBE-GGA).

## Properties
- DOS(E_F): 46.29 states/eV/cell
- Energy above the most stable polymorph in this dataset: 85 meV per atom

Unit cell a=4.389 b=4.389 c=23.619 alpha=90.00 beta=90.00 gamma=120.00
Fractional positions:
Ce1 0.000 0.000 0.000
Ce2 0.000 0.000 0.175
Ce3 0.333 0.667 0.667
Ce4 0.333 0.667 0.842
Ce5 0.667 0.333 0.333
Ce6 0.667 0.333 0.509
Sb1 0.000 0.000 0.586
Sb2 0.333 0.667 0.253
Sb3 0.667 0.333 0.920
Te1 0.000 0.000 0.756
Te2 0.333 0.667 0.422
Te3 0.667 0.333 0.089

***

Entry from Alexandria via LeMat-Bulk: Ce5Sb5Te after structural relaxation (PBE-GGA).

## Properties
- DOS(E_F): 27.79 states/eV/cell
- Electronic total energy: -5.74 eV per atom

Unit cell a=7.712 b=7.712 c=8.975 alpha=106.73 beta=106.73 gamma=48.30
Fractional positions:
Ce1 0.000 0.000 0.000
Ce2 0.332 0.332 0.661
Ce3 0.333 0.333 0.173
Ce4 0.667 0.667 0.827
Ce5 0.668 0.668 0.339
Sb1 0.163 0.163 0.334
Sb2 0.167 0.167 0.835
Sb3 0.500 0.500 0.500
Sb4 0.833 0.833 0.165
Sb5 0.837 0.837 0.666
Te1 0.500 0.500 0.000

***

Entry from Alexandria via LeMat-Bulk: Ce4SbTe3 after structural relaxation (PBE-GGA).

## Properties
- DOS(E_F): 28.32 states/eV/cell
- Energy above the most stable polymorph in this dataset: 0 meV per atom

Unit cell a=6.356 b=6.356 c=6.356 alpha=90.00 beta=90.00 gamma=90.00
Fractional positions:
Ce1 0.000 0.000 0.000
Ce2 0.000 0.500 0.500
Ce3 0.500 0.000 0.500
Ce4 0.500 0.500 0.000
Sb1 0.500 0.500 0.500
Te1 0.000 0.000 0.500
Te2 0.000 0.500 0.000
Te3 0.500 0.000 0.000

***

Entry from Alexandria via LeMat-Bulk: Ce6Sb5Te after structural relaxation (PBE-GGA).

## Properties
- DOS(E_F): 40.77 states/eV/cell
- Electronic total energy: -6.05 eV per atom
=====
## Back to the text
Smarter and Healthier Cities for a Better Future

The Conference will be organized under the theme, "Smarter and Healthier Cities for a Better Future", with the following sub-themes to guide the discussions in the Mayors' Forum, plenary and parallel sessions.
Building a blueprint for smart healthy cities with true connectivity and collaboration
Building a blueprint for a smart and healthy city means recognizing the essential components of people, environment, and systems, and the need to intelligently connect and collaboratively integrate them.
This session will be a place to discuss the smart health cities that each city envisions.
We will look at the values and directions that smart healthy cities should firmly pursue, the concepts and principles that underpin smart healthy cities, and the intelligent connectivity of citizens and cities to promote health.
Creating a sustainable and resilient healthy city for the future
Recently, there has been a growing societal demand for cities to cultivate sustainability and resilience in response to health crises. The imperative to create sustainable and resilient urban environments in the context of health disasters has become critical.
In this session, we will focus on the urgent need to bring sustainability and resilience to healthy cities. We will explore alternative strategies tailored to respond to the climate crisis, emphasizing the importance of creating sustainable and healthy urban environments.
This includes initiatives such as creating a secure food supply and promoting healthy food environments, which are critical components for the future well-being of our cities. We will also explore strategic approaches to building a sustainable, safe and healthy city, with a particular focus on the needs of the next generation.
Achieving health equity in the city: Our Commitment and Initiatives
Achieving health equity in the city requires organized, systematic, and collaborative efforts among stakeholders. Systematic action to reduce social and economic inequities and effective policy development are essential. This comprehensive approach is critical to promoting balanced development and maintaining a healthy urban environment.
The session will explore strategies for improving health equity in the context of a healthy city and discuss approaches to reducing health inequities.
Topics of discussion will include inclusive growth for a socially and economically equitable healthy city, efforts to reduce social and economic inequities, and the promotion of age-friendly healthy cities that support healthy aging.